Don't be a Pushover - Enforce your Lease
One of the best pieces of advice you will ever receive as a landlord is to stick to your policies and refuse to make exceptions. This is certainly a sound piece of advice. Unfortunately, almost all landlords have to learn the hard way the importance of enforcing agreed upon rules and policies for your tenants. As a newcomer to the landlording game, its easy to get hesitant when the time comes to act on one of your rules or policies. You may try to avoid confrontation and convince yourself that it won’t be the end of the world to “let this one slide”. This is a major mistake which almost always leads down a slippery slope of more broken rules and results in an unbearable landlord-tenant relationship.
People want to be liked
This is a simple truth and a common characteristic of human beings. A new [or seasoned] landlord may feel pressure to make exceptions for tenants breaking rules or not making payments. They want to be perceived as the “nice guy”. This is a natural desire. The landlord may feel that is she imposes a late fee, the tenant will get angry and dislike her.
Therefore, the natural tendency is to make an excuse as to why an infraction can go unenforced. While this may feel good at first, it doesn’t take long for you to go from being a “nice guy” to a “pushover”. Your failure to enforce your lease is a sign of weakness. A tenant will see this as an opportunity to continue breaking the rules set out in the lease.
_Records of crystals that have nothing to do with the entry_
┌──
Density functional theory data (PBE-GGA) for a relaxed structure of SrSc2Ir.

```
data_SrSc2Ir
_cell_length_a 3.9022
_cell_length_b 3.6246
_cell_length_c 8.1435
_cell_angle_alpha 90.00
_cell_angle_beta 103.79
_cell_angle_gamma 90.00
_symmetry_space_group_name_H-M 'P 1 m 1'
_symmetry_Int_Tables_number 6
loop_
_symmetry_equiv_pos_as_xyz
'x,y,z'
'x,-y,z'
loop_
_atom_site_label
_atom_site_fract_x
_atom_site_fract_y
_atom_site_fract_z
_atom_site_occupancy
Sr1 0.0000 0.0000 0.0000 1
Sc1 0.3002 0.0000 0.6048 1
Sc2 0.6742 0.5000 0.3502 1
Ir1 0.8300 0.5000 0.6651 1
```

Energy of formation from the pure elements: -293.7 meV/atom
DOS at the Fermi energy: 2.86 states/eV per cell
Energy: -6.095 eV per atom

* * * * *

A relaxed GdHoPu crystal. Source: Alexandria, functional PBE-GGA.

```
GdHoPu
1.0
-1.7495 1.7495 7.4272
1.7495 -1.7495 7.4272
1.7495 1.7495 -7.4272
Gd Ho Pu
1 1 1
direct
0.0000 0.0000 0.0000 Gd
0.6741 0.6741 0.0000 Ho
0.3357 0.3357 0.0000 Pu
```

Calculated values
For the energy, the calculation gives -10.873 eV/atom. The value obtained for the density of states at the Fermi level is 7.44 states/eV/f.u.
└──
For example, if you fail to impose a late fee when your tenant is late with rent, what incentive does the tenant have to pay next month’s rent on time? You didn’t do anything the first time…why would you do anything the next time? What makes things even more complicated is when you fail to impose a late fee for the first offense, but then decide its time to toughen up for a future offense. This creates a double standard and is confusing to the tenant. You need to be firm and consistent with the enforcement of your lease from the onset of your relationship with each tenant.
=====
(1)
The following is a DFT calculation (PBE) of a geometry-optimized Ce2PbI structure.

Cell: 4.4953 4.4953 23.7978 Å, 90.00 90.00 120.00°
Space group R3m (No. 160, hexagonal axes)
Inequivalent atoms, fractional coordinates:
Ce 0.0000 0.0000 0.0000
Ce 0.0000 0.0000 0.1811
Pb 0.0000 0.0000 0.5889
I 0.0000 0.0000 0.7593

Computed properties:
The total DFT energy (no corrections) comes out at -58.0 eV per cell. The value obtained for the polymorph energy (0 for the lowest one) is 0.0684 eV per atom.

***

(2)
The following is a DFT calculation (PBE) of a geometry-optimized CePbI2 structure.

Cell: 3.9383 3.9383 33.4901 Å, 90.00 90.00 120.00°
Space group R-3m (No. 166, hexagonal axes)
Inequivalent atoms, fractional coordinates:
Ce 0.0000 0.0000 0.0000
Pb 0.0000 0.0000 0.5000
I 0.0000 0.0000 0.4001

Computed properties:
The total DFT energy (no corrections) comes out at -46.6 eV per cell.

***

| no. | size of the total moment (Bohr magnetons per cell) | Fermi-level density of states (states/eV/atom) |
| --- | --- | --- |
| 1 | 7.911 | 3.76 |
| 2 | 3.980 | 1.50 |

~~~~~

# 1
! RbBe3Bi PBE relaxed; values from VASP
! - SG: Pm-3m (221)
! - Offset from the most stable computed form: 0.974 eV per atom
! - Crystal system: cubic
&SYSTEM
  ibrav = 0, nat = 5, ntyp = 3
/
ATOMIC_SPECIES
Be 9.01 Be.upf
Bi 208.98 Bi.upf
Rb 85.47 Rb.upf
ATOMIC_POSITIONS angstrom
Be 2.587 0.000 0.000
Be 0.000 0.000 2.587
Be 0.000 2.587 0.000
Bi 2.587 2.587 2.587
Rb 0.000 0.000 0.000
CELL_PARAMETERS angstrom
5.174 0.000 0.000
0.000 5.174 0.000
0.000 0.000 5.174


# 2
! RbBeBi2 PBE relaxed; values from VASP
! - SG: I-42d (122)
! - DFT total energy: -23.622 eV for the cell shown
! - Crystal system: tetragonal
&SYSTEM
  ibrav = 0, nat = 8, ntyp = 3
/
ATOMIC_SPECIES
Rb 85.47 Rb.upf
Bi 208.98 Bi.upf
Be 9.01 Be.upf
ATOMIC_POSITIONS angstrom
Rb -7.776 1.581 0.759
Bi -9.299 -1.188 -0.873
Bi -4.245 1.222 0.528
Rb 0.000 0.000 0.000
Be -7.432 -1.091 -2.668
Be -3.456 1.916 -1.841
Bi -5.086 -0.019 -2.404
Bi -11.785 0.964 -1.071
CELL_PARAMETERS angstrom
-3.800 4.588 1.585
-3.112 -0.757 -5.268
-8.296 -3.342 1.773


# 3
! Rb2BeBi PBE relaxed; values from VASP
! - SG: I-42d (122)
! - Offset from the most stable computed form: 0.000 eV per atom
! - Crystal system: tetragonal
&SYSTEM
  ibrav = 0, nat = 8, ntyp = 3
/
ATOMIC_SPECIES
Bi 208.98 Bi.upf
Be 9.01 Be.upf
Rb 85.47 Rb.upf
ATOMIC_POSITIONS angstrom
Bi 13.656 6.828 1.219
Be 6.828 13.656 1.219
Rb 7.282 3.414 0.610
Rb 17.070 14.110 1.829
Bi 0.000 0.000 0.000
Rb 6.374 10.242 0.610
Be 6.828 6.828 0.000
Rb 10.242 13.201 1.829
CELL_PARAMETERS angstrom
13.656 0.000 0.000
0.000 13.656 0.000
6.828 6.828 2.439


# 4
! RbBeBiRu2 PBE relaxed; values from VASP
! - SG: P4/mmm (123)
! - DFT total energy: -17.503 eV for the cell shown
! - Crystal system: tetragonal
&SYSTEM
  ibrav = 0, nat = 5, ntyp = 4
/
ATOMIC_SPECIES
Rb 85.47 Rb.upf
Ru 101.07 Ru.upf
Be 9.01 Be.upf
Bi 208.98 Bi.upf
ATOMIC_POSITIONS angstrom
Rb -2.562 -2.070 0.343
Ru -0.475 0.172 -2.503
=====
== Here the text continues ==
Tenants expect you to enforce the rules
Think about your personal rental experience. If you were late with your monthly rent, would you expect your landlord to void the late fees? If they didn’t void the late fees, would you blame them for being a “bad person”? Almost certainly not! You realize that imposing a late fee, your landlord is simply doing what is best for her business. You don’t think of her as a bad person. In fact, the majority of tenants actually feel bad for the landlord for forcing her to impose late fees!
The fact is that you and your tenant signed a contract. It is your obligation to follow that contract and impose the applicable penalties.
Don’t Get Caught with a Double Standard
A major issue with “letting it slide” is that your inconsistent enforcement of rules makes things very confusing for your tenants. If you let one tenant slide on late rent, other tenants will expect the same treatment. If you wait to impose the late fee on one tenant but hit another tenant immediately the second tenant will feel that you are out to get him.
Late Fees Work
Late fees are popular among landlords for a reason. They work. You will be shocked at how well a $20 late fee or the potential for a $5/day late fee will motivate your tenants to round up the rent on time. The fact is that most tenants will pay their rent. Sometimes they forget…other times they are waiting to get paid. Regardless of the reason, the consistent and strict enforcement of late fees is a proven motivator for tenants to pay their rent. Whats more, sometimes tenants plan on being late and expect to pay the additional late fee! This is the best case scenario: You get your rent a few days late, but you get an extra $20-$50 because your tenant broke the rules. It almost fees like magic!
The Best of Both Worlds
Its possible to impose late fees and other rules of your lease and still be the “Nice Guy”.
Here are a few tips:
- Set up your “Late Payment” notices so that they are [or seem] automated. If you are using an invoicing application like Quickbooks, use the email feature to send a professional invoice indicating the due date and the penalties if that due date is missed. You can start by sending the invoice ~10 days before it is due. After the 1st day that the invoice remains unpaid, send a friendly reminder urging the tenant to pay before an “automatic” late fee is added to the invoice. After your grace period ends, “drop the hammer” and add your late fee to the invoice. If you craft it right, the late fee will seem like an automatic feature set in motion by Quickbooks. The tenant doesn’t see you as the bad guy. Instead, they blame Quickbooks and your magical invoicing system!
- Stress the importance of maintaining consistent standards for all your tenants. Tenants would not expect to be given special treatment. If a tenant is begging and pleading with you to let something slide, stress the importance of being fair to all tenants.
- Tell the truth. Sometimes tenants have a misguided perception that their landlord is a wealthy real estate tycoon who burns cash to keep warm at night. We all know that investing in real estate requires a ton of hard work and is by no means easy. Inform your tenants of the business you are trying to build. Let them know how hard you have worked to acquire and run your properties. Stress that you sympathize with their situation, but that you are in no position to ignore the rules and let your business suffer.
Maintaining solid landlord-tenant relationships is one of the most difficult aspects of real estate investing. The successful landlords are able to eliminate emotion from decision making so that they can diligently follow their business processes. It may be difficult to enforce rules on your tenants. Nonetheless, learning to adhere to your systems is an essential skill on the road to a successful real estate investing career.